You are involved, say, with a pathologically self-centered personality, perhaps a narcissist or sociopath?
That is, he wants what he wants when he wants it, and he’ll do whatever’s necessary (his entitlement) to get it, or take it.
What comes next are records of crystals, not part of the page:
'''
[1]
A plane-wave DFT calculation with PBE was carried out for crystalline YTiMn4 at its relaxed geometry.

## Properties
* space group: F-43m (216)
* DFT formation energy: 0.02 eV/atom
* crystal system: cubic
* DFT total energy: -8.49 eV/atom
* DOS at the Fermi energy: 7.060 states/eV/f.u.

```
6
Lattice="4.949 0.000 0.000 2.475 4.286 0.000 2.475 1.429 4.041" Properties=species:S:1:pos:R:3 pbc="T T T"
Mn 4.949 1.439 2.522
Mn 3.721 3.567 2.522
Mn 4.949 2.857 0.516
Mn 6.178 3.567 2.522
Ti 2.475 1.429 1.010
Y 0.000 0.000 0.000
```

[2]
A plane-wave DFT calculation with PBE was carried out for crystalline ReP3Ir at its relaxed geometry.

## Properties
* space group: Pm-3m (221)
* energy above the lowest structure with this stoichiometry: 0.000 eV per atom
* DFT formation energy: 1.09 eV/atom
* crystal system: cubic
* DFT total energy: -6.42 eV/atom
* DOS at the Fermi energy: 2.648 states/eV/f.u.

```
5
Lattice="-4.334 -1.299 -0.460 -0.319 -0.532 4.505 -1.340 4.326 0.416" Properties=species:S:1:pos:R:3 pbc="T T T"
P -0.160 -0.266 2.253
P -0.670 2.163 0.208
P -2.167 -0.649 -0.230
Re 0.000 0.000 0.000
Ir -2.997 1.248 2.231
```

[3]
A plane-wave DFT calculation with PBE was carried out for crystalline AcMg2Zr at its relaxed geometry.

## Properties
* space group: R-3m (166)
* energy above the lowest structure with this stoichiometry: 0.163 eV per atom
* DFT formation energy: 0.25 eV/atom
* crystal system: trigonal
* DFT total energy: -3.72 eV/atom
* DOS at the Fermi energy: 5.248 states/eV/f.u.

```
4
Lattice="-3.073 1.540 0.344 -1.523 0.144 3.097 3.511 10.170 3.180" Properties=species:S:1:pos:R:3 pbc="T T T"
Ac -0.542 5.927 3.310
Mg -0.399 2.720 1.604
Mg -0.686 9.134 5.017
Zr 0.000 0.000 0.000
```


{
  "formula": "AsRhNF2",
  "functional": "GGA-PBE",
  "state": "optimized geometry",
  "crystal_system": "tetragonal",
  "dos_at_fermi_per_ev_cell": 5.96,
  "volume_a3_per_atom": 13.607,
  "polymorph_energy_ev_per_atom": 0.127,
  "formation_energy_uncorrected_mev_per_atom": 208,
  "sg": "P4/mmm (123)",
  "lattice": [[-1.082, 1.929, -3.651], [-4.076, 0.105, 1.263], [0.578, 3.330, 1.588]],
  "species": ["As", "F", "F", "N", "Rh"],
  "fractional_positions": [[0.000, 0.000, 0.000], [0.500, 0.000, 0.000], [0.000, 0.500, 0.000], [0.000, 0.000, 0.500], [0.500, 0.500, 0.500]]
}


# 1
Below is a relaxed structure of MgCo2Ni2, with properties calculated at the GGA-PBE level. Values from VASP.

The structure in Quantum ESPRESSO input format:
```
&SYSTEM
  ibrav = 0, nat = 5, ntyp = 3
/
ATOMIC_SPECIES
Mg 24.30 Mg.upf
Co 58.93 Co.upf
Ni 58.69 Ni.upf
CELL_PARAMETERS angstrom
-1.723 1.723 5.610
1.723 -1.723 5.610
1.723 1.723 -5.610
ATOMIC_POSITIONS angstrom
Mg 0.000 0.000 0.000
Co 1.723 0.000 2.805
Co 0.000 1.723 2.805
Ni 0.000 0.000 4.456
Ni 0.000 0.000 6.763
```

Summary:
polymorph energy (0 for the lowest one): 91 meV per atom
SG: I4/mmm
calculated volume: 13.3 A^3/atom
DFT formation energy: 16 kJ per mole of atoms
energy: -5.30 eV per atom

***

# 2
'''
Key diagnostic trait: he reserves the right to punish you when you obstruct his agenda.
Now here’s the thing: in the heat of the moment, you may actually be pretty good at confronting his abuse. Maybe you stand up for yourself pretty effectively? Maybe, in the moment, you’re even pretty good at setting limits and challenging his nonsense?
So then what’s the problem?
The problem occurs when you step away from these incidents.
In stepping away from them, you potentially risk enacting your own form of compartmentalization, by which I mean that, while in the moment you may address his abuse with some backbone, yet beyond the moment you effectively “drop the ball” by failing to process, and own, the greater pattern.
It’s a case of our seeing the trees in the forest just fine, yet somehow, defensively, ensuring that we fail to see the forest through the trees.
I’m referring, of course, to a kind of defense mechanism with which some—not all—of us may be familiar?
As I suggested, strategically this defense mechanism deploys a form of compartmentalization, while tactically it assumes forms of denial, minimization and avoidance (of reality).
What precisely is the function and, more importantly, the danger of this defense mechanism?
Its function, I suspect, is to prevent us from connecting the dots; that is, our failure (defensively) to connect the dots enables our avoidance of confronting the greater pattern that underlies the series of incidents.
So long as we address the “abusive incidents” separately—as discreet events—thereby defensively ignoring their wider pattern, then we can rationalize more easily our “staying in” the relationship with a kind of pseudo-dignity and pseudo self-respect.
To be clear, we achieve this self-compromise by reframing the abuse as a series of brushfires to be troubleshot on an ongoing basis, much like a manageable chronic illness.
And especially if, as I’ve noted, we’re pretty good at this—somewhat effective, that is, at confronting these brushfires on a case by case basis—then it becomes easier to compartmentalize in the manner I’m describing.
The danger, of course, is how this defensive process—in its reframing of the exploitation as a series of disconnected, but manageable, events—supports our denial that the relationship has, in fact, been globally and fatally compromised by the exploitation.
This highlights, yet again, the basic conundrum of defense mechanisms: the protection they confer is so often exceeded, unfortunately, by their cost to our well-being and, sometimes, integrity.
(My use of “he” in this article was for strictly for convenience’s sake, not to imply that females aren’t capable of the behaviors discussed. This article is copyrighted © 2009 by Steve Becker, LCSW.)
Some people are just impossible people. That’s what my kids are…I’ve got to accept this….they are impossible!! Here is some great info I goggled:
- - -
A plane-wave DFT calculation with GGA-PBE was carried out for crystalline FeBiS3 at its relaxed geometry.

Results
Calculated volume: 137 Å³ per cell
Calculated total energy: -3.962 eV/atom
Total magnetic moment: 0.84 μB per atom
Uncorrected formation energy: 983 meV per atom
SG: No. 221
Excess energy over the best structure of this formula in the dataset: 0.917 eV per atom

Cell: 5.1536 5.1536 5.1536 Å, 90.00 90.00 90.00°
With the nearest neighbours (Å) after each atom.
Atoms (fractional coordinates):
S  0.0000  0.0000  0.5000  2 Bi 2.58
S  0.0000  0.5000  0.0000  2 Bi 2.58
S  0.5000  0.0000  0.0000  2 Bi 2.58
Fe  0.5000  0.5000  0.5000  12 S 3.64
Bi  0.0000  0.0000  0.0000  6 S 2.58

A plane-wave DFT calculation with GGA-PBE was carried out for crystalline Fe3BiS at its relaxed geometry.

Results
Calculated volume: 128 Å³ per cell
Calculated total energy: -5.051 eV/atom
Total magnetic moment: 2.20 μB per atom
Uncorrected formation energy: 1628 meV per atom
SG: No. 221
Excess energy over the best structure of this formula in the dataset: 1.341 eV per atom

Cell: 5.0402 5.0402 5.0402 Å, 90.00 90.00 90.00°
With the nearest neighbours (Å) after each atom.
Atoms (fractional coordinates):
S  0.5000  0.5000  0.5000  12 Fe 3.56
Fe  0.0000  0.5000  0.0000  2 Bi 2.52
Fe  0.5000  0.0000  0.0000  2 Bi 2.52
Fe  0.0000  0.0000  0.5000  2 Bi 2.52
Bi  0.0000  0.0000  0.0000  6 Fe 2.52

A plane-wave DFT calculation with GGA-PBE was carried out for crystalline FeBiS2 at its relaxed geometry.

Results
Calculated volume: 80 Å³ per cell
Calculated total energy: -5.413 eV/atom
Total magnetic moment: 0.24 μB per atom
Uncorrected formation energy: -263 meV per atom
SG: No. 166

Cell: 8.2396 8.2396 8.2396 Å, 23.83 23.83 23.83°
With the nearest neighbours (Å) after each atom.
Atoms (fractional coordinates):
Fe  0.5000  0.5000  0.5000  6 S 2.28
S  0.8815  0.8815  0.8815  3 Fe 2.28
S  0.1185  0.1185  0.1185  3 Fe 2.28
Bi  0.0000  0.0000  0.0000  2 S 2.84

A plane-wave DFT calculation with GGA-PBE was carried out for crystalline FeBiS2 at its relaxed geometry.

Results
Calculated volume: 108 Å³ per cell
Calculated total energy: -5.011 eV/atom
Total magnetic moment: 0.75 μB per atom
Uncorrected formation energy: 139 meV per atom
SG: No. 166

Cell: 7.7765 7.7765 7.7765 Å, 30.66 30.66 30.66°
With the nearest neighbours (Å) after each atom.
Atoms (fractional coordinates):
Bi  0.5000  0.5000  0.5000  6 S 2.83
Fe  0.0000  0.0000  0.0000  2 S 2.17
S  0.9024  0.9024  0.9024  1 Fe 2.17
S  0.0976  0.0976  0.0976  1 Fe 2.17

A plane-wave DFT calculation with GGA-PBE was carried out for crystalline FeBi3S at its relaxed geometry.

Results
Calculated volume: 154 Å³ per cell
Calculated total energy: -3.938 eV/atom
Total magnetic moment: 0.62 μB per atom
Uncorrected formation energy: 908 meV per atom
SG: No. 221
Excess energy over the best structure of this formula in the dataset: 0.444 eV per atom

Cell: 5.3545 5.3545 5.3545 Å, 90.00 90.00 90.00°
- - -
“Be a manager. Until it is over, your task in the relationship is to manage the impossible person, so that he or she deals less damage to you. As a manager, your best resources are silence (it really is golden in some cases such as this), humoring the other, and abandoning all hope of “fixing” the impossible person. Impossible people do not listen to reason. They can’t (and even if they could, they wouldn’t). You can’t convince them that they have any responsibility for the problems between you. They don’t recognize (or if they did, wouldn’t try to improve) their flaws for a very logical reason; they don’t have any flaws. You must understand and manage this mindset without casting blame and without giving in to anger. It’s far easier said than done, and you will slip from time to time, but as time goes on, you’ll become a better manager.
12Realize that impossible people engage in projection. Understand that you are going to be accused of much (or all) of this behavior yourself. If your impossible person gets a look at this text, to them it will look like a page about you. Prepare yourself for the fact that the impossible person’s flaws and failings will always be attributed to you. Remember, in their minds, you are at fault for everything! They will have an endless supply of arguments to support this, and if you make the mistake of encouraging them, they will be more than happy to tell you why you are the impossible person, and how ironic it is that you are under the mistaken impression that it is them.”
I must resign my managerial position! And stay resigned!
*ahahaaaaaaaaa! That should read googled! Oh well, guess in my state of mind…I might have goggled…..ahahahaaa! *screams with laughter!
Dear TB and witty, and Erin, Can I ask a favour of you? can you read my post re my older daughter,{regarding her cheating and defrauding me of $450–} I need to know if you think Im still being unreasonable in finding this still unacceptable after over 20 years. Its not about the money, its that awful sick making feeling of being screwed, used, conned, fleeced, and then thrown away.Also, do you think the Facebook episode is a storm in a teacup? What am I supposeto do with all this old rage and hurt and betrayal, which she refuses to even admit happened? Im still finding it v. hard to stay NC , even tho the answer is in her hands, all I am asking for is ONE apology,{which Im sure I wont get.} Im no nearer to understanding those people, its like they come from a different solar system.Also, Im scared to ring up her ex as my daughter sometimes babysits her own kids at his place, and I dont want to talk to her. Love and Thanks, and {{HUGS}} Gem.XX {I feel guilty also re Oxy, she is the one who needs max support here right now, but Im in a bad place at th moment.Gem.
Dear Star,
Thanks dear, I’ve come down from my 48 hour “pity party” and gotten my head out of my butt (cranial-rectal inversion) and done some deep thinking.
I realize that I have had on rosy colored glasses where C is concerned. Yes, my “help” actually WAS ENABLING, and that was NOT good on my part. Enabling someone is not a good thing for you or them.
I had a therapist once say that the ONLY legitimat4e “rescue” is to pull an unconscious person out of a burning building.
I should have started a LONG time ago. C is not like his brother, the P, and he has many good qualities, however, that said, I rescued him even though I set some boundaries on the help–they were not strongly enforced enough, and I gave him back my trust too easily.
I see a PATTERN, the “big picture” now and there is a SERIES of behaviors that are unacceptable, and I have been too “forgiving” and “excusing” of these behaviors.
I am not just looking at this ONE LIE, or this one broken agreement, but a whole string of things that I looked at “individually” as “nothing serious” but taken ALL TOGETHER, they make up a big picture that while he is not a P, he is NOT acting in a mature way, not taking advantage of the OPPORTUNITIES his brother and I offered him, and I can’t cut him any more slack.
I know there is almost always hope for people who are not Ps, but at the same time, people who are just “dysfunctional” and not Ps can screw up their own lives pretty badly and nothing we can do will fix or help them until THEY are ready.
Yep, he’s had some “bad luck” because of HIS POOR DECISIONS, his failure to listen to good advice, advice he KNEW was good, but like many people he made his choice to do some of these things KNOWING THEY WERE NOT WISE decisions. I’ve done it myself. I got the consequences for my poor decisions and he’ll have the consequences for his poor decisions.
Regardless of whether or not he is “addicted” or “just using video games to escape RL” he is setting himself up for repeat failure financially, has not used the opportunities he was given to help himself. I’m sorry about that, but when he made HIS CHOICES he knew the “rules.”
The winos at the local “mission” know that if they bring booze into the establishment they will be tossed out no matter how cold the night is–right on the street. They know if the start a brawl, they will be barred from going there ever again. There are rules attached to everything we do. We “get by” in life by pretty well obeying the rules. We get consequences when we break the rules.
There are rules at my house. My name is on the deed, so I get to set the rules. You may not like the rules, but if so, don’t let the door hit you in the butt on your way out. My rules may not be fair, they may be totally arbritrary and i can change them without notice if I want. But if you don’t like the way this establishment is run and you are unhappy here, you are FREE TO GO. There is no lock on the gate, and if there was, you could climb over, it is only 4 ft. tall and isn’t electric. There aren’t guards riding on horses with shot guns to keep you in, there are not packs of blood hounds to track you down if you run away.
BUT, if you want to stay here and have the BENEFITS of being here and if you will play by the rules, then you are welcome to stay, but if not, don’t let the gate hit you in the butt.
My son C has obviously enjoyed some benefit from living here. Financial and otherwise. He wouldn’t have HAD any money to have bought the computer if he had not been living here because a separate home, or even a roomie situation would have cost him all he made to just keep up. So living here he had an opportunity to SAVE MONEY…he chose not to use this opportunity, but I am NOT OBLIGATED to allow him to live here and violate the rules.
• Unrelated to this piece: records of crystals:
/*
Entry from Alexandria via LeMat-Bulk: crystalline K2MnRhCl at its relaxed geometry (PBE-GGA).

- V (Å³/cell) = 158.0
- total magnetization (μB per formula unit) = 5.5

abc: 5.730 5.730 4.812
angles: 90.00 90.00 90.00
Atoms (fractional coordinates):
K (0.000, 0.500, 0.000)
K (0.500, 0.000, 0.000)
Mn (0.000, 0.000, 0.500)
Rh (0.500, 0.500, 0.500)
Cl (0.000, 0.000, 0.000)



Entry from Alexandria via LeMat-Bulk: crystalline Tb12PrSc6 at its relaxed geometry (PBE-GGA).

- formation energy from the elements (eV/atom) = 0.24
- V (Å³/cell) = 574.9
- total magnetization (μB per formula unit) = 0.0

abc: 9.073 9.073 9.073
angles: 109.47 109.47 109.47
Atoms (fractional coordinates):
Tb (0.070, 0.268, 0.802)
Tb (0.198, 0.466, 0.268)
Tb (0.198, 0.930, 0.732)
Tb (0.268, 0.198, 0.466)
Tb (0.268, 0.802, 0.070)
Tb (0.466, 0.268, 0.198)
Tb (0.534, 0.732, 0.802)
Tb (0.732, 0.198, 0.930)
Tb (0.732, 0.802, 0.534)
Tb (0.802, 0.070, 0.268)
Tb (0.802, 0.534, 0.732)
Tb (0.930, 0.732, 0.198)
Pr (0.000, 0.000, 0.000)
Sc (0.137, 0.500, 0.637)
Sc (0.363, 0.863, 0.500)
Sc (0.500, 0.363, 0.863)
Sc (0.500, 0.637, 0.137)
Sc (0.637, 0.137, 0.500)
Sc (0.863, 0.500, 0.363)



Entry from Alexandria via LeMat-Bulk: crystalline Er2Sc3Pd4 at its relaxed geometry (PBE-GGA).

- formation energy from the elements (eV/atom) = -0.82
- V (Å³/cell) = 375.5
- total magnetization (μB per formula unit) = 0.0

abc: 7.262 7.310 7.524
angles: 90.00 109.92 90.00
Atoms (fractional coordinates):
Er (0.193, 0.174, 0.073)
Er (0.193, 0.326, 0.573)
Er (0.807, 0.674, 0.427)
Er (0.807, 0.826, 0.927)
Sc (0.247, 0.661, 0.249)
Sc (0.247, 0.839, 0.749)
Sc (0.500, 0.000, 0.500)
Sc (0.500, 0.500, 0.000)
Sc (0.753, 0.161, 0.251)
Sc (0.753, 0.339, 0.751)
Pd (0.086, 0.544, 0.857)
Pd (0.086, 0.956, 0.357)
Pd (0.498, 0.636, 0.630)
Pd (0.498, 0.864, 0.130)
Pd (0.502, 0.136, 0.870)
Pd (0.502, 0.364, 0.370)
Pd (0.914, 0.044, 0.643)
Pd (0.914, 0.456, 0.143)



| no. | energy above the most stable polymorph in this dataset (eV/atom) | E (eV per atom) |
| --- | --- | --- |
| 1 | 0.1251 | -3.651 |
| 2 | 0.0000 | -4.932 |
| 3 | 0.0000 | -6.257 |
*/
The number one rule here is DO NOT LIE TO THE OWNER, the number two rule is SEE RULE NUMBER ONE!
Just as if a wino had brought a bottle of hootch into the shelter, He brought LIES into my home, so since he is not willing to follow the rules set out and “posted by the door” he has no right to stay here. He doesn’t owe me any more money, he paid me off what few hundred dollars he owed me.
However, looking back over the last 20+ years, I realize that he has NOT used several opportunities I ahve given him, and when the inevitable happened because he made UNwise choices, and he ended up destitute, I gave him another opportunity, which he used for a while and then BROKE the rules again. Rinse and repeat. I expect him to continue with that pattern.
Does that make him a Psychopath? No, he didn’t steal from me, he didn’t hit me, he just chose to lie to me. I choose not to have a relationship with people who lie to me. Knowing him, though, he will have “too much pride” to come back on his hands and knees begging for a place at my table again. He waits for word to get back to me that he is destitute and waits for me to come resuce him. Well, I’m out of the rescue business for people who run out into dangerous woods and then lie down and wait for someone to come haul their butts out on a stretcher, and then when they are “safe” they DO IT AGAIN, AND AGAIN, AND AGAIN.
Each day I am learning, recognizing the problems I HAVE, the things I have done that were UNwise, enabling, dysfunctional, denying, manipulating, or anything else that I should NOT HAVE DONE.
This isn’t just about my son C any more it is about WHAT PART I PLAYED in him not being reliable financially, and the fact that I knew it but REFUSED to see it, to acknowledge it, just because he always has a job, and always works, it is NOT just “bad luck” that makes him have financial problems repeatedly, but POOR IMPULSE CONTROL OVER HIS SPENDING, and he will defend to the death his right to spend on toys what he should have reasonably saved for a “rainy day.” Lots of people live that way because even though they have a choice, they choose unwisely to buy toys so when they have NEEDS they can’t meet them.
Other people do the best they can and still wind up destitute or homeless. My son has a CHOICE, and opportunities, but he has chosen his path, and I can’t FIX HIS POOR CHOICES. I love him, but I can’t help him, I can’t rescue him, I can only let him fall into the pit he is digging for himself, and then figure a way to crawl out of his own pit…just as I have dug my own pits and have clawed my way out of them over and over and over, but I AM LEARNING to set boundaries, to stick to them, and to not go overboard trying to help someone and actually ENABLE them to not have the consequences of their poor choices.
We learn to walk by falling on our butts, skinning our knees and bumping our heads. If our mommies couldn’t allow us to try by ourselves and get back up, we would never learn to walk. I have “over protected” my son unfortunately, so now at middle age, he is going to get some life lessons he had at 20, but I prevented the full consequences of those lessons from hitting him square between the eyes. MY BAD. But I am going to be a BETTER MOTHER TO HIM NOW than I have been, I am going to let him make his own decisions and bear the FULL consequences. I will pray for him and continue to love and hope for him, but when he falls, I won’t be there to pick him up. I hope that he grows up and learns from his mistakes, but in the meantime, I have got to go on with my life.
Back for several years after he married the P-DIL I saw very little of him and grieved over that, but eventually came to terms with the fact that he either didn’t really want contact with his family or whatever, but I came to terms with it.
Toonight on my way home as D and I drove along, I felt that same acceptance come over me, I felt that same feeling of accepting what IS. I am somewhat disappointed, somewhat sad, but no longer devestated, not much hope he will change, not much hope he will grow up, not much hope I can ever fully trust him again, but accepting of what IS.
My pity party is over ladies and gents. My screaming, crying, headbashing, gut wrenching party is done. I am going to go on with my life and give him the freedom to go on with his. I used to worry all the time day and night when P son went to prison. Who or what was raping him? Who was beating him? Now I never give it a thought.
I could worry about C and how he is doing. Is he depressed? Does he have enough money for rent, is his truck running okay? Is his company out of business yet? But, that’s not my worry, not my responsibility, it’s his.
If he ever wants a relationship with me, we’ll talk about it, but right now, I’ve done all the “reaching out” I am able to do, I’ve got to take care of myself. His responsibility is to take care of himself. I will pray for him however, it is all I can do.
I relate to the post above. I am in so much emotional pain right now. I wish this would stop…
Dear gg: I read that post about your daughter conning you out of your money and the FB posts. Well, no, I think you are well within your rights of feeling totally conned! That would really freak me out!!!!! I would NOT trust anyone that could do this to their own mother! Anymore than I trust my older daughter who betrayed me with my xhub….and this started when she was younger! I love her, but I don’t trust her….and never will, I don’t think! IMO-if someone is capable of this type of deception they have crossed some really large boundaries! This would not be any situation that would be easily forgotten by me….not so much as revenge and possibly not bitter…. but, when someone can do these types of things….I just don’t ever trust them fully again. Just my two cents….
gg: Also: I want badly to reunite, trust and resume a relationship with my older daughter, and I’ve tried, but truthfully, it has not worked. I don’t really think it’s possible. I am afraid there are lines crossed that cannot really be gotten back over…..and that scares me. The reason being: they don’t admit, accept responsibility for their actions so there can be no change/no working things out… the ‘relationship’ once again resumes on THEIR terms which leaves no choice for us but to: either be their slave/doormat OR cut contact and live our lives. I have found no other ways …..they refuse to let us live our lives and accept common boundaries ……just the way they are. Look at their lives….their friends/spouses/etc either are passive or gone…..
Thanks so much TB. I sometimes wonder if I overreact. Its not that I havent forgiven her, but there is NEVER any form of closure when they wont ever admit theyve done a nasty mean thing, much less apologise for it! I read somewhere that forgiveness is for US as much as them. It does not mean
a] we have to condone it
b} we dont have to see that party again if we dont want to
c}we dont excuse it,
d] we dont trust that person again, UNTIl and UNLESS they ask for forgivesess andshow by their actions that thye are changing
e}forgiveness sets US free.
f} we have to find our OWN closure if they cant or wont give any to us
g} we do not allow that person to suckerpunch us ever again.
h] we have to remain alert to future “red flags”, and not fall into the same “enabling” pattern of baling them out.
i} if they cant or wont love and/ or respect us, we have to love and respect ourselves, and NEVER let them con, lie, cheat and defraud us ever again.
By the way, TB, how are YOU doing? A very happy spath free New Year to you!! Love, and {{HUGS}} Gem.XXX
Donna, there seems to be a problem,-when I post a blog, it doesnt go to the main page on the left, like it used to do. Is this a new system?
gg: you have your head screwed on right. Great post!
I’m doing ok! [thanks for asking!] I’ve recovered from the butchering I received recently from my older daughter that was baited and egged on by my younger one. Course they ‘kissed and made up’ and kept me slammed on the outskirts….fine…just fine with me. I’ve come to the conclusion some folks deserve each other! ahahaha! I’ve regrouped and got my balance back…thankfully! Something else I’ve concluded-for me anyway-: I always thought we never outgrew or moved beyond motherhood….but, you know, in most ways I think we should….I mean these are ADULTS and people of their own. Look at animals…they move their young out to function on their own. I am told [am an animal person] that they do recognize their offspring…but they do not mother them any longer. I had a rescue dog that was preggers when I found her….she had her pups and I placed them in good homes etc….well, one was returned to me at about a year since the lady became very ill and could not care for her dog….when I placed the ‘pup’ back into the kennel…..her mom immediately recognized her and gave her head a gentle lick was so sweet–BUT-she let this dog function on its own and treated it as one of the pack NOT fussing over it or mothering it…which I thought was pretty cool. I realize we are not animals….but, I do think we could learn a thing or two from them: 1: trust our instinct and 2: let these pups go and don’t mother them any longer or allow them to ‘force us to mother them!” We are people again…our lives have changed and we are free to live them….the possessiveness is actually from these adult kids keeping US tied to them not vice versa. Took me this long to figure this out….! The ownership lies with them not us! *duh….I know! LOL
How are you, gg? Happy New Year to you too! Love, ((((hugs))))) in return and may this be the year of a new beginning for us all! *To freedom from all N/P and the like! 🙂